HOME Legal Encounters Palestinian Basic Law: Public Rights and Liberties

• These records of crystals were left in the text by mistake:
=====
# Mg5Si9 (PBE, relaxed)
# V, A^3/atom: 17.526
# Electronic total energy, eV per atom: -3.870
# Excess energy over the best structure of this formula in the dataset, eV/atom: 0.084
# Size of the total moment, μB per cell: 0.00
# E (MP2020), eV per formula unit: -53.5
# Formation enthalpy at 0 K, eV per atom: 0.235
data_Mg5Si9
_cell_length_a 5.595
_cell_length_b 7.348
_cell_length_c 13.242
_cell_angle_alpha 76.52
_cell_angle_beta 78.26
_cell_angle_gamma 69.27
_symmetry_space_group_name_H-M 'P 1'
_symmetry_Int_Tables_number 1
_symmetry_space_group_name_Hall 'P 1'
loop_
_atom_site_label
_atom_site_type_symbol
_atom_site_fract_x
_atom_site_fract_y
_atom_site_fract_z
Mg1 Mg 0.000 0.000 0.000
Mg2 Mg 0.011 0.919 0.457
Mg3 Mg 0.176 0.814 0.224
Mg4 Mg 0.199 0.280 0.300
Mg5 Mg 0.233 0.952 0.642
Mg6 Mg 0.290 0.506 0.726
Mg7 Mg 0.426 0.705 0.864
Mg8 Mg 0.584 0.843 0.018
Mg9 Mg 0.853 0.271 0.775
Mg10 Mg 0.962 0.453 0.942
Si1 Si 0.096 0.471 0.562
Si2 Si 0.152 0.559 0.094
Si3 Si 0.187 0.190 0.113
Si4 Si 0.345 0.139 0.849
Si5 Si 0.445 0.495 0.368
Si6 Si 0.477 0.171 0.484
Si7 Si 0.481 0.616 0.521
Si8 Si 0.523 0.296 0.963
Si9 Si 0.547 0.909 0.385
Si10 Si 0.601 0.456 0.116
Si11 Si 0.605 0.997 0.187
Si12 Si 0.641 0.032 0.692
Si13 Si 0.745 0.680 0.672
Si14 Si 0.749 0.620 0.227
Si15 Si 0.775 0.203 0.261
Si16 Si 0.809 0.262 0.548
Si17 Si 0.927 0.812 0.818
Si18 Si 0.937 0.607 0.394

----------

# 1
This record from Materials Project describes an optimized crystal structure of LiV2O5. The functional is PBE+U.

E above lowest polymorph, meV/atom: 0.0

Cell lengths 7.705, 6.687, 7.644 Å; angles 90.00, 90.00, 90.00 degrees
Space group Pnma (No. 62)
One atom of each set of equivalent atoms:
Li 0.000 0.000 0.000 (multiplicity 4)
V 0.125 0.250 0.371 (multiplicity 4)
V 0.169 0.750 0.270 (multiplicity 4)
O 0.056 0.750 0.497 (multiplicity 4)
O 0.121 0.250 0.835 (multiplicity 4)
O 0.122 0.038 0.237 (multiplicity 8)
O 0.190 0.750 0.004 (multiplicity 4)

# 2
This record from Materials Project describes an optimized crystal structure of Li2V3O7. The functional is PBE+U.

Cell lengths 10.5856, 10.5856, 9.5293 Å; angles 90.00, 90.00, 120.00 degrees
Space group P31c (No. 159)
One atom of each set of equivalent atoms:
Li 0.0000 0.0000 0.0000 (multiplicity 2)
Li 0.0505 0.5212 0.2269 (multiplicity 6)
Li 0.3333 0.6667 0.5663 (multiplicity 2)
Li 0.3333 0.6667 0.9262 (multiplicity 2)
V 0.1271 0.3313 0.3968 (multiplicity 6)
V 0.1265 0.7946 0.0908 (multiplicity 6)
V 0.1609 0.3231 0.7428 (multiplicity 6)
O 0.0435 0.7261 0.2820 (multiplicity 6)
O 0.0455 0.3220 0.2040 (multiplicity 6)
O 0.0694 0.8333 0.5618 (multiplicity 6)
O 0.0719 0.2450 0.9255 (multiplicity 6)
O 0.1579 0.6573 0.0523 (multiplicity 6)
O 0.1638 0.4995 0.4402 (multiplicity 6)
O 0.2508 0.7474 0.7422 (multiplicity 6)

# 3
This record from Materials Project describes an optimized crystal structure of Li9V19O48. The functional is PBE+U.

Cell lengths 5.081, 10.300, 17.238 Å; angles 89.96, 89.37, 89.91 degrees
Space group P1 (No. 1)
=====

Palestinian Basic Law: Public Rights and Liberties

On 20 February 2012, the Institute of Law (IoL) at Birzeit University organised a legal encounter on the Palestinian Basic Law: Public Rights and Liberties. Delivered by Mr. Jamil Sarhan, Programme Director at the Independent Commission for Human Rights (ICRC), the encounter brought together a considerable number of lawyers, law students, and representatives of interested bodies.

In her opening remarks, Mrs. Lina At Tounisi, Coordinator of the IoL Gaza Office, welcomed the speaker and audience. In a briefing note about the Birzeit Legal Encounters programme, Mrs. At Tounisi said that this is the first encounter to be organised in 2012.

Mr. Sarhan explained that the Palestinian Basic Law “comprise a set of principles, values and provisions that determine the form of the Palestinian National Authority and delineate the rules of governance it should apply.” In this context, Mr. Sarhan addressed three major points relating to the Basic Law.
In reference of fundamental rights and freedoms, Article (9) under the Basic Law addresses equality. As a broad concept, equality effectively means that persons should be enabled to exercise their rights and enjoy all political, economic and social rights without discrimination on grounds of religion, colour, language, sex or social status. According to this Article, several laws have been promulgated, including the Law of Adaptation and Employment of Persons with Disabilities. In order for them to exercise their rights, public facilities should be accessible to disabled persons on an equal footing with others. Article (13) under the Palestinian Basic Law prohibits torture. Torture is pain that results from a physical or mental pressure that is exercised by a public authority in order to extract a confession from a person. Any court judgement obtained through torture is null and void. To corroborate the public right to health, Mr. Sarhan argued that the Ministry of Health and relevant Palestinian authorities should (1) provide medical treatment and medicine; (2) provide vaccinations; (3) provide rehabilitation services and respond to citizens’ needs; and (4) raise public awareness on the right to health, including by distributing health pamphlets.

Secondly, the Judicial Authority plays a significant role in overseeing the constitutionality of laws, ensuring that the hierarchy of legislation is consistent both in form and in substance. Currently, the High Court substitutes the Constitutional Court until the latter is formed. The High Court monitors the constitutionality of laws, regulations and bylaws.

Finally, in respect of the current situation of public rights and liberties, Mr. Sarhan asserted that torture practices are widespread throughout the West Bank and Gaza Strip. On average, the ICRC receives 5 – 10 complaints on torture a month. As torture has become to mark a phenomenon, an anti-torture culture should be disseminated to help eradicate this unhealthy situation.

In the ensuing discussion, the audience made significant interventions and raised questions that reflected the reality of the Palestinian society under the state of division and disrespect of the Basic Law provisions.
The legal encounter was organised in partnership with the Konrad Adenauer Stiftung.